
Mark Frazier 18-10-2023
Mark Frazier



**Quantum chemistry results, as found in the file:**
one | This record from the OMol25 dataset describes the ion C4H6NS with charge +1. The level of theory is ωB97M-V/def2-TZVPD.

Last column: Löwdin charge in e.
Cartesian coordinates (Å):
S -1.653 -0.015 1.385  1.042
N 0.724 0.820 -0.666  -0.045
C 1.356 0.392 0.365  0.116
C -0.549 0.440 -1.114  -0.141
C -1.610 0.098 -0.383  -0.326
C -0.417 -1.065 1.706  -0.213
H -0.112 -1.162 2.736  0.057
H 1.150 1.499 -1.311  0.173
H -0.002 -1.731 0.971  0.049
H 2.305 0.863 0.599  0.065
H -2.569 -0.054 -0.852  0.085
H -0.671 0.538 -2.187  0.140

Values from the calculation:
highest occupied orbital energy: -13.332 eV
LUMO level: -0.207 Eh
total charge: +1
HOMO-LUMO gap: 7.71 eV



two | This record from the OMol25 dataset describes a structure of composition C4H6NS. The level of theory is ωB97M-V/def2-TZVPD.

Last column: Löwdin charge in e.
Cartesian coordinates (Å):
S 2.438 0.302 -0.069  1.073
N 0.229 -0.304 0.230  -0.230
C 0.792 0.880 0.316  -0.250
C -1.082 -0.248 0.228  -0.122
C 1.338 -1.130 -0.175  -0.335
C -1.565 0.927 -0.274  0.128
H -1.732 -1.122 0.540  0.170
H 1.380 -2.003 0.619  0.173
H 0.295 1.647 0.803  0.107
H 1.256 -1.614 -1.185  0.133
H -0.784 1.569 -0.736  0.099
H -2.564 1.095 -0.298  0.054

Values from the calculation:
highest occupied orbital energy: -14.244 eV
LUMO level: -0.203 Eh
total charge: +1
HOMO-LUMO gap: 8.71 eV



Of them, two has the highest stability.



one | This record from the OMol25 dataset describes a cluster of 2 separate species, CH6OS2 in total. The level of theory is ωB97M-V/def2-TZVPD.

Last column: Löwdin charge in e.
Cartesian coordinates (Å):
S -0.047 -2.448 -1.811  0.290
S -1.035 -0.691 -1.200  0.384
O -0.576 2.989 1.973  -0.088
C 0.000 0.000 0.000  -0.575
H 0.782 0.675 -0.386  0.041
H 0.406 2.934 1.942  0.049
H -0.625 0.560 0.715  0.022
H -0.517 -3.359 -0.932  -0.203
H -0.796 2.969 2.932  0.051
H 0.486 -0.833 0.535  0.029

Values from the calculation:
highest occupied orbital energy: -8.992 eV
LUMO level: 0.021 Eh
SMILES: CSS.O
HOMO-LUMO gap: 9.56 eV



two | This record from the OMol25 dataset describes a cluster of 2 separate species, CH6OS2 in total. The level of theory is ωB97M-V/def2-TZVPD.

Last column: Löwdin charge in e.
Cartesian coordinates (Å):
S -0.339 -1.136 1.351  0.339
S 1.301 -2.358 1.221  0.293
O 2.434 2.258 1.733  -0.089
C 0.000 0.000 0.000  -0.524
H 2.303 -1.530 1.584  -0.189
H 2.232 3.221 1.732  0.052
H 1.036 0.359 0.123  0.009
H -0.681 0.866 0.056  0.038
H -0.096 -0.460 -0.998  0.039
H 1.568 1.823 1.901  0.032

Values from the calculation:
highest occupied orbital energy: -8.967 eV
LUMO level: 0.019 Eh
SMILES: CSS.O
HOMO-LUMO gap: 9.49 eV



Of them, two has the highest stability.



one | This record from the OMol25 dataset describes a cluster of 2 separate species, C3H11N2O in total. The level of theory is ωB97M-V/def2-TZVPD.

Last column: Löwdin charge in e.
Cartesian coordinates (Å):
O -1.067 -0.297 -0.288  -0.034
N 0.239 -0.768 2.094  0.141
N -0.459 -0.528 -2.366  0.168

大丽花是一种可以使许多环境得到装饰的花,特别是花园。 如果你正在寻找一个完美的选择来装饰你的后院,我相信你会喜欢发现更多关于大丽花的信息。


这些花的外观充满了优雅和柔和,对花园和其他特定场所的装饰非常完美。 这是一种著名的植物,名称为 花园大丽花 的一部分,并且它是 小行星 它们的特点是球茎,体积小,花瓣丰满,体积大。

这种植物是一种原产于墨西哥山区的块茎。 所谓的花,最好是在夏季生长季节较长的潮湿和凉爽地区栽培。 它们需要充分的阳光才能发育。

这些花的特点还在于其多年的生命周期。 它们可以全年开花。 但是,在寒冷的季节需要特别的照顾,比如说。


See_also: 如何一步步种植紫薇花:特性和护理


你需要注意一些种植有关花卉的有趣提示。 遵循以下标准。

See_also: 如何种植简易潘帕斯草(Cortaderia selloana)?


这些花需要充足的光照,最好有专门的花坛。 排水良好的土壤是必不可少的。 然而,这些植物更适应于合理的土壤。 如果土壤压实,可添加更多的沙子,以及名为" "的肥料。 地形 ".





购买较大的块茎,因为这些块茎会开出较大的花朵。 检查这些块茎的健康状况,如果有切口、腐烂或变软的迹象,以及有斑点或充满灰尘的地方等,就要拒绝。


除了矮小的花之外,这些花都需要钉子。 为每株花打一个15厘米的洞,然后你应该把一个坚固的1.5米长的桩子插到至少30厘米深。


将土壤与骨粉和泥炭藓混合。 使用该混合物,这样你就可以覆盖洞口,然后给植物浇水。

如果你想把花种在花盆里,程序是一样的,用木桩把块茎种下去。 种下去后要浇水,如果天气干燥,2天后再浇一次。



Mark Frazier

Mark Frazier is an enthusiastic lover of all things floral and the author behind the blog I Love Flowers. With a keen eye for beauty and a passion for sharing his knowledge, Mark has become a go-to resource for flower enthusiasts of all levels. Mark's fascination with flowers sparked in his childhood, as he spent countless hours exploring the vibrant blooms in his grandmother's garden. Since then, his love for flowers has only blossomed further, leading him to study horticulture and earn a degree in Botany.His blog, I Love Flowers, showcases a wide variety of floral wonders. From classic roses to exotic orchids, Mark's posts feature stunning photos that capture the essence of each bloom. He skillfully highlights the unique characteristics and qualities of every flower he presents, making it easy for readers to appreciate their beauty and unleash their own green thumbs.In addition to showcasing various flower types and their breathtaking visuals, Mark is dedicated to providing practical tips and indispensable care instructions. He believes that anyone can cultivate their own flower garden, regardless of their experience level or space constraints. His easy-to-follow guides outline essential care routines, watering techniques, and suggest suitable environments for each flower species. With his expert advice, Mark empowers readers to nurture and preserve their preciousfloral companions.Beyond the blogosphere, Mark's love for flowers extends into other areas of his life. He frequently volunteers at local botanical gardens, teaching workshops and organizing events to inspire others to embrace the wonders of nature. Additionally, he regularly speaks at gardening conferences, sharing his insights on flower care and offering valuable tips to fellow enthusiasts.Through his blog I Love Flowers, Mark Frazier encourages readers to bring the magic of flowers into their lives. Whether through cultivating small potted plants on a windowsill or transforming an entire backyard into a colorful oasis, he inspires individuals to appreciate and nurture the unending beauty that flowers offer.